## Excerpt
Record 1
The following is a PBE-GGA calculation of Pm4PrIr3 after structural relaxation, from the Alexandria database.

total DFT energy (no corrections) = -6.85 eV per atom
symmetry = No. 140

a b c (Å): 6.2158 8.6191 8.6191
angles (deg): 82.53 68.86 68.86
Fractional positions:
Pm: 0.2919 0.1235 0.2928
Pm: 0.2081 0.7072 0.8765
Pm: 0.0846 0.1235 0.7072
Pm: 0.4154 0.2928 0.8765
Pm: 0.9154 0.8765 0.2928
Pm: 0.5846 0.7072 0.1235
Pm: 0.7081 0.8765 0.7072
Pm: 0.7919 0.2928 0.1235
Pr: 0.2500 0.5000 0.5000
Pr: 0.7500 0.5000 0.5000
Ir: 0.6577 0.1845 0.5000
Ir: 0.7500 0.0000 0.0000
Ir: 0.2500 0.0000 0.0000
Ir: 0.1577 0.5000 0.1845
Ir: 0.3423 0.8155 0.5000
Ir: 0.8423 0.5000 0.8155

Record 2
The following is a PBE-GGA calculation of ZnInNiPd after structural relaxation, from the Alexandria database.

total DFT energy (no corrections) = -4.04 eV per atom
symmetry = No. 216

a b c (Å): 4.4194 4.4194 4.4194
angles (deg): 60.00 60.00 60.00
Fractional positions:
Pd: 0.7500 0.7500 0.7500
Zn: 0.5000 0.5000 0.5000
In: 0.0000 0.0000 0.0000
Ni: 0.2500 0.2500 0.2500

Record 3
The following is a PBE-GGA calculation of PmSm2Pu after structural relaxation, from the Alexandria database.

E above lowest polymorph = 0.0 meV per atom
symmetry = No. 123

a b c (Å): 3.5595 3.5595 10.2162
angles (deg): 90.00 90.00 90.00
Each line ends with the local moment (μB).
Fractional positions:
Pu: 0.5000 0.5000 0.5000  5.61
Sm: 0.0000 0.0000 0.2589  0.07
Sm: 0.0000 0.0000 0.7411  0.07
Pm: 0.5000 0.5000 0.0000  -0.03

Record 4
The following is a PBE-GGA calculation of BaPb3Au after structural relaxation, from the Alexandria database.

total DFT energy (no corrections) = -3.37 eV per atom
symmetry = No. 221

a b c (Å): 5.6921 5.6921 5.6921
angles (deg): 90.00 90.00 90.00
Fractional positions:
Pb: 0.0000 0.0000 0.5000
Pb: 0.0000 0.5000 0.0000
Pb: 0.5000 0.0000 0.0000
Au: 0.0000 0.0000 0.0000
Ba: 0.5000 0.5000 0.5000

Record 5
The following is a PBE-GGA calculation of Rb3LiBe after structural relaxation, from the Alexandria database.

E above lowest polymorph = 0.0 meV per atom
symmetry = No. 221

a b c (Å): 6.7806 6.7806 6.7806
angles (deg): 90.00 90.00 90.00
Fractional positions:
Be: 0.0000 0.0000 0.0000
Li: 0.5000 0.5000 0.5000
Rb: 0.0000 0.0000 0.5000
Rb: 0.5000 0.0000 0.0000
Rb: 0.0000 0.5000 0.0000

Record 6
The following is a PBE-GGA calculation of PuTlPb after structural relaxation, from the Alexandria database.

E above lowest polymorph = 0.0 meV per atom
symmetry = No. 107

a b c (Å): 3.6156 3.6156 7.0656
angles (deg): 104.82 104.82 90.00
Each line ends with the local moment (μB).
Fractional positions:
Tl: 0.3355 0.3355 0.6709  0.03
Pu: 0.6680 0.6680 0.3360  5.74
Pb: 0.9966 0.9966 0.9931  0.00

Record 7
The following is a PBE-GGA calculation of Tl3SnF8 after structural relaxation, from the Alexandria database.

uncorrected formation energy = -2.010 eV per atom
symmetry = No. 121

a b c (Å): 6.2930 6.9776 6.2930
angles (deg): 63.20 90.00 116.80
Fractional positions:
Tl: 0.2500 0.5000 0.2500
Tl: 0.5000 0.0000 0.5000
Tl: 0.7500 0.5000 0.7500
F: 0.7182 0.8659 0.8523
F: 0.9902 0.6654 0.0098
F: 0.1477 0.8659 0.2818
F: 0.0098 0.3346 0.6751
F: 0.6751 0.6654 0.3249
F: 0.3249 0.3346 0.9902
F: 0.8523 0.1341 0.1477
F: 0.2818 0.1341 0.7182
Sn: 0.0000 0.0000 0.0000

Record 8
The following is a PBE-GGA calculation of Be2CrTc after structural relaxation, from the Alexandria database.

E above lowest polymorph = 186.4 meV per atom
symmetry = No. 99

a b c (Å): 2.6148 2.6148 6.3128
angles (deg): 90.00 90.00 90.00
Each line ends with the local moment (μB).
Fractional positions:
Be: 0.5000 0.5000 0.2217  -0.02
Be: 0.0000 0.0000 0.0397  0.01
Tc: 0.5000 0.5000 0.7751  0.30
Cr: 0.0000 0.0000 0.4635  1.21

| no. | magnetization (μB/cell) |
| --- | --- |
| 1 | 0.0 |
| 2 | 0.0 |
| 3 | 6.4 |
| 4 | 0.0 |
| 5 | 0.0 |
| 6 | 6.3 |
| 7 | 0.0 |
| 8 | 1.6 |

=====

Density functional theory data (PBE-GGA) for crystalline KAg2Os at its relaxed geometry.

extended XYZ file:
```
4

## Brief
The reader should type out all of the calculation results above without altering anything.

## Reply
Record 1
The following is a PBE-GGA calculation of Pm4PrIr3 after structural relaxation, from the Alexandria database.

total DFT energy (no corrections) = -6.85 eV per atom
symmetry = No. 140

a b c (Å): 6.2158 8.6191 8.6191
angles (deg): 82.53 68.86 68.86
Fractional positions:
Pm: 0.2919 0.1235 0.2928
Pm: 0.2081 0.7072 0.8765
Pm: 0.0846 0.1235 0.7072
Pm: 0.4154 0.2928 0.8765
Pm: 0.9154 0.8765 0.2928
Pm: 0.5846 0.7072 0.1235
Pm: 0.7081 0.8765 0.7072
Pm: 0.7919 0.2928 0.1235
Pr: 0.2500 0.5000 0.5000
Pr: 0.7500 0.5000 0.5000
Ir: 0.6577 0.1845 0.5000
Ir: 0.7500 0.0000 0.0000
Ir: 0.2500 0.0000 0.0000
Ir: 0.1577 0.5000 0.1845
Ir: 0.3423 0.8155 0.5000
Ir: 0.8423 0.5000 0.8155

Record 2
The following is a PBE-GGA calculation of ZnInNiPd after structural relaxation, from the Alexandria database.

total DFT energy (no corrections) = -4.04 eV per atom
symmetry = No. 216

a b c (Å): 4.4194 4.4194 4.4194
angles (deg): 60.00 60.00 60.00
Fractional positions:
Pd: 0.7500 0.7500 0.7500
Zn: 0.5000 0.5000 0.5000
In: 0.0000 0.0000 0.0000
Ni: 0.2500 0.2500 0.2500

Record 3
The following is a PBE-GGA calculation of PmSm2Pu after structural relaxation, from the Alexandria database.

E above lowest polymorph = 0.0 meV per atom
symmetry = No. 123

a b c (Å): 3.5595 3.5595 10.2162
angles (deg): 90.00 90.00 90.00
Each line ends with the local moment (μB).
Fractional positions:
Pu: 0.5000 0.5000 0.5000  5.61
Sm: 0.0000 0.0000 0.2589  0.07
Sm: 0.0000 0.0000 0.7411  0.07
Pm: 0.5000 0.5000 0.0000  -0.03

Record 4
The following is a PBE-GGA calculation of BaPb3Au after structural relaxation, from the Alexandria database.

total DFT energy (no corrections) = -3.37 eV per atom
symmetry = No. 221

a b c (Å): 5.6921 5.6921 5.6921
angles (deg): 90.00 90.00 90.00
Fractional positions:
Pb: 0.0000 0.0000 0.5000
Pb: 0.0000 0.5000 0.0000
Pb: 0.5000 0.0000 0.0000
Au: 0.0000 0.0000 0.0000
Ba: 0.5000 0.5000 0.5000

Record 5
The following is a PBE-GGA calculation of Rb3LiBe after structural relaxation, from the Alexandria database.

E above lowest polymorph = 0.0 meV per atom
symmetry = No. 221

a b c (Å): 6.7806 6.7806 6.7806
angles (deg): 90.00 90.00 90.00
Fractional positions:
Be: 0.0000 0.0000 0.0000
Li: 0.5000 0.5000 0.5000
Rb: 0.0000 0.0000 0.5000
Rb: 0.5000 0.0000 0.0000
Rb: 0.0000 0.5000 0.0000

Record 6
The following is a PBE-GGA calculation of PuTlPb after structural relaxation, from the Alexandria database.

E above lowest polymorph = 0.0 meV per atom
symmetry = No. 107

a b c (Å): 3.6156 3.6156 7.0656
angles (deg): 104.82 104.82 90.00
Each line ends with the local moment (μB).
Fractional positions:
Tl: 0.3355 0.3355 0.6709  0.03
Pu: 0.6680 0.6680 0.3360  5.74
Pb: 0.9966 0.9966 0.9931  0.00

Record 7
The following is a PBE-GGA calculation of Tl3SnF8 after structural relaxation, from the Alexandria database.

uncorrected formation energy = -2.010 eV per atom
symmetry = No. 121

a b c (Å): 6.2930 6.9776 6.2930
angles (deg): 63.20 90.00 116.80
Fractional positions:
Tl: 0.2500 0.5000 0.2500
Tl: 0.5000 0.0000 0.5000
Tl: 0.7500 0.5000 0.7500
F: 0.7182 0.8659 0.8523
F: 0.9902 0.6654 0.0098
F: 0.1477 0.8659 0.2818
F: 0.0098 0.3346 0.6751
F: 0.6751 0.6654 0.3249
F: 0.3249 0.3346 0.9902
F: 0.8523 0.1341 0.1477
F: 0.2818 0.1341 0.7182
Sn: 0.0000 0.0000 0.0000

Record 8
The following is a PBE-GGA calculation of Be2CrTc after structural relaxation, from the Alexandria database.

E above lowest polymorph = 186.4 meV per atom
symmetry = No. 99

a b c (Å): 2.6148 2.6148 6.3128
angles (deg): 90.00 90.00 90.00
Each line ends with the local moment (μB).
Fractional positions:
Be: 0.5000 0.5000 0.2217  -0.02
Be: 0.0000 0.0000 0.0397  0.01
Tc: 0.5000 0.5000 0.7751  0.30
Cr: 0.0000 0.0000 0.4635  1.21

| no. | magnetization (μB/cell) |
| --- | --- |
| 1 | 0.0 |
| 2 | 0.0 |
| 3 | 6.4 |
| 4 | 0.0 |
| 5 | 0.0 |
| 6 | 6.3 |
| 7 | 0.0 |
| 8 | 1.6 |

=====

Density functional theory data (PBE-GGA) for crystalline KAg2Os at its relaxed geometry.

extended XYZ file:
```
4